Exercise:
What is needed: give back all of the entries below without additions.

Excerpt:
--- 1 ---
Compound: Si2WAu
Source: Alexandria
Functional: PBE
Structure: relaxed

Cell: 5.7688 5.7688 5.7688 Å, 146.06 143.31 50.84°
Last column: nearest neighbours and their distance in Å.
Sites, in units of the cell vectors:
Au 0.2801 0.7801 0.5000  6 Si 2.57-2.66
Si 0.9668 0.9668 0.0000  4 W 2.59, 2 Au 2.66
Si 0.7149 0.2149 0.5000  2 W 2.49, 4 Au 2.57
W 0.5383 0.5383 0.0000  6 Si 2.49-2.59

Values from the calculation:
**Magnetic moment**: 0.0 μB/cell
**Space group**: No. 44

--- 2 ---
Compound: Si2WAu
Source: Alexandria
Functional: PBE
Structure: relaxed

Cell: 3.8753 2.8439 5.6664 Å, 89.96 90.00 90.00°
Last column: nearest neighbours and their distance in Å.
Sites, in units of the cell vectors:
Au 0.5000 0.7500 0.7500  4 Si 2.53
Si 0.0000 0.7507 0.0372  1 Si 2.41, 2 Au 2.53, 4 W 2.69
Si 0.0000 0.7493 0.4628  1 Si 2.41, 2 Au 2.53, 4 W 2.69
W 0.5000 0.2500 0.2500  8 Si 2.69, 2 W 2.84

Values from the calculation:
**Magnetic moment**: 0.0 μB/cell
**Space group**: No. 47

Which structure is the least stable? The one labeled 1.

--- 1 ---
Compound: Si2WAu
Source: Alexandria
Functional: PBE
Structure: relaxed

Cell: 4.4724 4.4724 5.0210 Å, 79.17 79.17 40.59°
Last column: nearest neighbours and their distance in Å.
Sites, in units of the cell vectors:
Au 0.2500 0.2500 0.2500  6 Si 2.76-2.89, 4 W 2.95
Si 0.0138 0.0138 0.9387  2 Si 2.50, 3 W 2.55-2.58, 1 Au 2.76
Si 0.4862 0.4862 0.5613  2 Si 2.50, 3 W 2.55-2.58, 1 Au 2.76
W 0.7500 0.7500 0.7500  6 Si 2.55-2.58

Values from the calculation:
**Magnetic moment**: 0.0 μB/cell
**Space group**: No. 12

--- 2 ---
Compound: Si2WAu
Source: Alexandria
Functional: PBE
Structure: relaxed

Cell: 2.7753 2.7753 8.2228 Å, 90.00 90.00 98.36°
Last column: nearest neighbours and their distance in Å.
Sites, in units of the cell vectors:
Au 0.5000 0.5000 0.7540  4 Au 2.78, 4 Si 2.79-2.98, 4 W 2.87-3.06
Si 0.0000 0.0000 0.0112  8 Si 2.68-2.88, 4 Au 2.79-2.98
Si 0.5000 0.5000 0.2510  4 W 2.64-2.84, 8 Si 2.68-2.88
W 0.0000 0.0000 0.4837  4 Si 2.64-2.84, 4 W 2.78, 2 Au 2.87

Values from the calculation:
**Magnetic moment**: 0.0 μB/cell
**Space group**: No. 35

Which structure is the least stable? The one labeled 2.

--- 1 ---
Compound: Si2WAu
Source: Alexandria
Functional: PBE
Structure: relaxed

Cell: 4.4162 4.4162 4.4162 Å, 60.00 60.00 60.00°
Last column: nearest neighbours and their distance in Å.
Sites, in units of the cell vectors:
Si 0.2500 0.2500 0.2500  4 W 2.70, 4 Au 2.70
Si 0.7500 0.7500 0.7500  4 W 2.70, 4 Au 2.70
Au 0.5000 0.5000 0.5000  8 Si 2.70
W 0.0000 0.0000 0.0000  8 Si 2.70

Values from the calculation:
**Magnetic moment**: 0.0 μB/cell
**Space group**: No. 225

--- 2 ---
Compound: Si2WAu
Source: Alexandria
Functional: PBE
Structure: relaxed

Cell: 4.4846 4.4846 4.4846 Å, 60.00 60.00 60.00°
Last column: nearest neighbours and their distance in Å.
Sites, in units of the cell vectors:
Au 0.5000 0.5000 0.5000  4 W 2.75, 4 Si 2.75
Si 0.0000 0.0000 0.0000  4 Si 2.75, 4 W 2.75
Si 0.7500 0.7500 0.7500  4 Au 2.75, 4 Si 2.75
W 0.2500 0.2500 0.2500  4 Si 2.75, 4 Au 2.75

Values from the calculation:
**Magnetic moment**: 0.0 μB/cell
**Space group**: No. 216

--- 3 ---
Compound: Si2WAu
Source: Alexandria
Functional: PBE
Structure: relaxed

Cell: 3.3814 3.3814 5.3592 Å, 90.00 90.00 90.00°
Last column: nearest neighbours and their distance in Å.
Sites, in units of the cell vectors:
Au 0.5000 0.5000 0.7934  6 Si 2.57-2.79
Si 0.0000 0.0000 0.9830  1 W 2.51, 4 Au 2.60
Si 0.5000 0.5000 0.2728  2 Au 2.57-2.79, 4 W 2.57, 4 Si 2.85
W 0.0000 0.0000 0.4508  5 Si 2.51-2.57

Values from the calculation:
**Magnetic moment**: 0.0 μB/cell
**Space group**: No. 99

--- 4 ---
Compound: Si2WAu
Source: Alexandria
Functional: PBE
Structure: relaxed

Cell: 8.2424 8.2424 8.2424 Å, 20.92 20.92 20.92°
Last column: nearest neighbours and their distance in Å.
Sites, in units of the cell vectors:
Au 0.7438 0.7438 0.7438  3 Si 2.61, 3 W 2.89
Si 0.9960 0.9960 0.9960  3 Si 2.52, 3 Au 2.61

Outcome:
--- 1 ---
Compound: Si2WAu
Source: Alexandria
Functional: PBE
Structure: relaxed

Cell: 5.7688 5.7688 5.7688 Å, 146.06 143.31 50.84°
Last column: nearest neighbours and their distance in Å.
Sites, in units of the cell vectors:
Au 0.2801 0.7801 0.5000  6 Si 2.57-2.66
Si 0.9668 0.9668 0.0000  4 W 2.59, 2 Au 2.66
Si 0.7149 0.2149 0.5000  2 W 2.49, 4 Au 2.57
W 0.5383 0.5383 0.0000  6 Si 2.49-2.59

Values from the calculation:
**Magnetic moment**: 0.0 μB/cell
**Space group**: No. 44

--- 2 ---
Compound: Si2WAu
Source: Alexandria
Functional: PBE
Structure: relaxed

Cell: 3.8753 2.8439 5.6664 Å, 89.96 90.00 90.00°
Last column: nearest neighbours and their distance in Å.
Sites, in units of the cell vectors:
Au 0.5000 0.7500 0.7500  4 Si 2.53
Si 0.0000 0.7507 0.0372  1 Si 2.41, 2 Au 2.53, 4 W 2.69
Si 0.0000 0.7493 0.4628  1 Si 2.41, 2 Au 2.53, 4 W 2.69
W 0.5000 0.2500 0.2500  8 Si 2.69, 2 W 2.84

Values from the calculation:
**Magnetic moment**: 0.0 μB/cell
**Space group**: No. 47

Which structure is the least stable? The one labeled 1.

--- 1 ---
Compound: Si2WAu
Source: Alexandria
Functional: PBE
Structure: relaxed

Cell: 4.4724 4.4724 5.0210 Å, 79.17 79.17 40.59°
Last column: nearest neighbours and their distance in Å.
Sites, in units of the cell vectors:
Au 0.2500 0.2500 0.2500  6 Si 2.76-2.89, 4 W 2.95
Si 0.0138 0.0138 0.9387  2 Si 2.50, 3 W 2.55-2.58, 1 Au 2.76
Si 0.4862 0.4862 0.5613  2 Si 2.50, 3 W 2.55-2.58, 1 Au 2.76
W 0.7500 0.7500 0.7500  6 Si 2.55-2.58

Values from the calculation:
**Magnetic moment**: 0.0 μB/cell
**Space group**: No. 12

--- 2 ---
Compound: Si2WAu
Source: Alexandria
Functional: PBE
Structure: relaxed

Cell: 2.7753 2.7753 8.2228 Å, 90.00 90.00 98.36°
Last column: nearest neighbours and their distance in Å.
Sites, in units of the cell vectors:
Au 0.5000 0.5000 0.7540  4 Au 2.78, 4 Si 2.79-2.98, 4 W 2.87-3.06
Si 0.0000 0.0000 0.0112  8 Si 2.68-2.88, 4 Au 2.79-2.98
Si 0.5000 0.5000 0.2510  4 W 2.64-2.84, 8 Si 2.68-2.88
W 0.0000 0.0000 0.4837  4 Si 2.64-2.84, 4 W 2.78, 2 Au 2.87

Values from the calculation:
**Magnetic moment**: 0.0 μB/cell
**Space group**: No. 35

Which structure is the least stable? The one labeled 2.

--- 1 ---
Compound: Si2WAu
Source: Alexandria
Functional: PBE
Structure: relaxed

Cell: 4.4162 4.4162 4.4162 Å, 60.00 60.00 60.00°
Last column: nearest neighbours and their distance in Å.
Sites, in units of the cell vectors:
Si 0.2500 0.2500 0.2500  4 W 2.70, 4 Au 2.70
Si 0.7500 0.7500 0.7500  4 W 2.70, 4 Au 2.70
Au 0.5000 0.5000 0.5000  8 Si 2.70
W 0.0000 0.0000 0.0000  8 Si 2.70

Values from the calculation:
**Magnetic moment**: 0.0 μB/cell
**Space group**: No. 225

--- 2 ---
Compound: Si2WAu
Source: Alexandria
Functional: PBE
Structure: relaxed

Cell: 4.4846 4.4846 4.4846 Å, 60.00 60.00 60.00°
Last column: nearest neighbours and their distance in Å.
Sites, in units of the cell vectors:
Au 0.5000 0.5000 0.5000  4 W 2.75, 4 Si 2.75
Si 0.0000 0.0000 0.0000  4 Si 2.75, 4 W 2.75
Si 0.7500 0.7500 0.7500  4 Au 2.75, 4 Si 2.75
W 0.2500 0.2500 0.2500  4 Si 2.75, 4 Au 2.75

Values from the calculation:
**Magnetic moment**: 0.0 μB/cell
**Space group**: No. 216

--- 3 ---
Compound: Si2WAu
Source: Alexandria
Functional: PBE
Structure: relaxed

Cell: 3.3814 3.3814 5.3592 Å, 90.00 90.00 90.00°
Last column: nearest neighbours and their distance in Å.
Sites, in units of the cell vectors:
Au 0.5000 0.5000 0.7934  6 Si 2.57-2.79
Si 0.0000 0.0000 0.9830  1 W 2.51, 4 Au 2.60
Si 0.5000 0.5000 0.2728  2 Au 2.57-2.79, 4 W 2.57, 4 Si 2.85
W 0.0000 0.0000 0.4508  5 Si 2.51-2.57

Values from the calculation:
**Magnetic moment**: 0.0 μB/cell
**Space group**: No. 99

--- 4 ---
Compound: Si2WAu
Source: Alexandria
Functional: PBE
Structure: relaxed

Cell: 8.2424 8.2424 8.2424 Å, 20.92 20.92 20.92°
Last column: nearest neighbours and their distance in Å.
Sites, in units of the cell vectors:
Au 0.7438 0.7438 0.7438  3 Si 2.61, 3 W 2.89
Si 0.9960 0.9960 0.9960  3 Si 2.52, 3 Au 2.61